Took me a minute to get into it, but once I did, I couldn't put it down!
Took me a minute to get into it, but once I did, I couldn't put it down!
I had a little issue with how it was paced the second part. But I liked how I was kept guessing.
This book is about a woman who claims to be the daughter of a suspected serial killer. She takes him on a tour of sorts because she suspects that he murdered her sister many years prior and wants answers. The man has dementia and it becomes a question of whether he is clueless, playing with her or truly didn‘t murder anyone. It was an interesting book and concept, but super unrealistic in my opinion which killed it for me in the end.
I really enjoyed this strange thriller! Grace is taking her grandfather, Carl, out of his nursing home for a road trip. Only Carl has dementia, and Grace isn't his granddaughter- in fact, she believes that Carl is a serial killer and the one responsible for taking her sister. I very much dug the weird push and pull relationship between Grace and Carl.
This one doesn‘t take more than a few pages to start. We are immediately drawn to the mystery and to the “quest”. One of the more original mystery novels I‘ve read in a long while.
4.5 ⭐️. Setting 5 ⭐️! Climb in for this suspenseful ride across the vividly described nation of Texas! Obsessed with her sister‘s disappearance, Grace takes a photographer & suspected serial killer with dementia on a “Sisterquest” to find answers about murdered girls. The confusing mental games of dementia & art of photography are characters, too. Must suspend disbelief that young Grace & her FBI friend have unusual skills, but worth it! #sisters
Totally caught up in the suspense! What is Carl plotting? Have to make a few leaps of faith-like an FBI agent getting a masters degree in English in his free time? But if you can roll with it there‘s a great story.
Who doesn‘t like a cat and mouse game with a serial killer during a road trip? Enjoying the suspense, and particularly like the flashback scenes between the protagonist & her missing sister... #thriller #suspenseful #christmasbreakread
Crystal structures, kept here for reference >
=====
This record from the Materials Project database describes crystalline Ba4TiAl3P4O20F4 at its relaxed geometry. The functional is GGA-PBE.

a b c (Å): 5.264 7.066 12.900
angles (deg): 90.25 90.23 101.99
Element x y z (fractional)
P 0.429 0.799 0.615
P 0.070 0.696 0.110
P 0.571 0.201 0.385
P 0.930 0.304 0.890
F 0.893 0.548 0.632
F 0.606 0.957 0.131
F 0.394 0.043 0.869
F 0.107 0.452 0.368
O 0.767 0.059 0.383
O 0.650 0.354 0.472
O 0.208 0.427 0.912
O 0.571 0.759 0.957
O 0.932 0.208 0.783
O 0.302 0.066 0.405
O 0.233 0.941 0.617
O 0.069 0.262 0.544
O 0.792 0.573 0.088
O 0.568 0.296 0.279
O 0.735 0.445 0.888
O 0.848 0.148 0.975
O 0.265 0.555 0.112
O 0.931 0.738 0.456
O 0.152 0.852 0.025
O 0.350 0.646 0.528
O 0.432 0.704 0.721
O 0.429 0.241 0.043
O 0.068 0.792 0.217
O 0.698 0.934 0.595
Ba 0.950 0.814 0.805
Ba 0.547 0.686 0.303
Ba 0.453 0.314 0.697
Ba 0.050 0.186 0.195
Al 0.000 0.500 0.500
=====
Oh my goodness Gisela! So much amazing stuff I don‘t even know where to begin! The books are of course fantastic! I have been dying for a Halloween blanket and this one is perfect. I laughed out loud when I opened your candle-great minds! The coffee, amazing mug, book jigs, socks, necklace, lotion! So much amazing in one package! Of course I can‘t dare forget the art print that will hang in my library right with my other one! #nightmareswap
The black and white cover is when you open the nook book. But The other is thumbnail version. I dont think the black and white cover does the book justice. Any- hoo I love Julia‘s book!
Thanks again, @derr.liz for this book from last year‘s Hocus Pocus Swap! It‘s the first book I finished in October- and since I started it in September, it‘s also the last book for the summer quarter of #Booked2019 (book gifted to me!). #Haunted by the death of her sister, this is a riveting quest for the truth! I couldn‘t put it down!! #ChillingPhotoChallenge 2pts. #ScaryScavengerHunt (death of a character) #TeamStoker
One of the best books I've read so far this year. Paper Ghosts kept me riveted and on the edge of my seat. I couldn‘t wait to finish it but at the sane time, didn't want it to end! A definite five ⭐️ read.
I love love love this book. I so enjoyed reading it. The storyline was fantastic and so different to anything I've seen before. The characters were well thought out and edgy and I found myself empathising with Carl! I loved his character so much and felt like he made the book more enjoyable with all his little quirks. A fantastic read.
Bad people are to be found everywhere, but even among the worst there may be something good
Onto my next book..looking forward to get going on this when I get home from work later.
My 5 🌟rated reads from 2018. Already signed up to a couple of TBR challenges to try and clear my backlog of reads. 210 books read this year including some 600+ page epics like East of Eden.
Thanks to all old & new Litsy friends for their comments & likes. Looking forward to 2019!
This sounds interesting.....another for my TBR list...
Serial killer with dementia sprung from a care facility by a woman who claims she is his daughter. Her sister was killed 15 years ago, and she‘s trained, researched, and sacrificed to find out if he is the killer. Road trip across Texas with ghosts in the back seat, piles of photos, dog, 3 legged cat, obsession, paranoia. Perfect summer reading!
#24in48 @24in48 Wow, I really loved this mystery thriller. A girl loses her sister 15 years before this book is set and spends the next 15 years obsessed with finding the killer. She finds him, with dementia in a half-way house. She poses as his daughter to take him on a road trip through Texas with ghosts, a dog who had been shot, a three legged cat and lessons from her survival training. Fast paced, surprising. Loved it 4⭐️
Whiskey and I started this thriller and I can say 30 pages in we are hooked! Narrator‘s sister went missing 15 or so years prior and narrator has searched for who she thinks was a serial killer responsible- he is in a half-way house for criminals with dementia and she poses as his daughter to take him on a “vacation” to learn the truth- that‘s just the first few pages- so far gripping!
A young woman believes she's found the man who killed her sister, but he claims to have dementia. So she breaks him out of an assisted living facility (posing as his daughter) to take him on a road trip that she hopes will either jog his memory or prove he's faking. Good twists and turns, and a (mostly) satisfying conclusion make this a ⭐️⭐️⭐️⭐️1/2 read for me. Will definitely check out her other books.
Super weird to be reading a book and have it mention the hurricane you lived through less than a year ago.
I'm really enjoying this one. It's like a Gillian Flynn novel except I don't hate the main character!
I started reading this one yesterday and I'm already hooked. After several fantasy/horror/sci-fi books in a row, I needed something grounded in the real world and this story of a woman trying to find her sister's killer is just what I was looking for. And check out that cover art!
Full review on my blog and on Goodreads.
This was so interesting and not your typical 'serial-killer thriller'. I enjoyed the uniqueness of the plot, even though it was more of a slow-burn. It cleaned up nicely and I felt closure after the mental game of ping pong. Worth a read, especially if you liked her book Black-Eyed Susan's.
#netgalley #arc #juliaheaberlin #paperghosts
Another current read (one of four because I'm indecisive like that) that I'm enjoying at the moment! And another lunch break outside in the lovely city of Boston. So nice to finally enjoy lunches out of the office!
Has anyone else read this yet?
#netgalley #arc #paperghosts #juliaheaberlin
My review is live on Roots & Reads this morning!
Has anyone else read this? I‘m only on chapter 8 but it‘s freakin amazing!
We are so lucky to have such great author events in Dallas almost every night of the week! Interabang Book Store is the jewel of our city.
PAPER GHOSTS is very well written, a bit evasive, and chilling. Ms. Heaberlin weaves an absorbing tale with intriguing characters. Her detailed writing is marvelous.
If you think you would enjoy a stressful, not sure why the main character is doing what she is doing “ride,” you won‘t be disappointed in the twists and turns and situations that come up.
This was quite the read. It's an interesting premise and executed well. Lots of drama happening and many twists until you finally reach the end. It was interesting but the big reveal felt a little rushed. That being said the story was good and I enjoyed it. The dementia added a deeper level to the story.
I knew I would either hate this one or love it, and I loved it. The author keeps you guessing just how much Carl remembers and what he has planned. It meanders a little in places but always pulls things round. Barfly is adorable too. Rating: 4.5 🌟
Thanks to Netgalley and publishers, Penguin UK - Michael Joseph, for the opportunity to review an ARC.
Solid ⭐️⭐️⭐️ thriller.
Enjoyable, twisty, but nothing I haven‘t read before.
"An elderly man with dementia, once acquitted of a terrible murder and suspected in many others, is removed from his assisted-living facility by a woman he does not recognize--a woman who claims to be his long-lost daughter.”
Finally starting a new book. As they say in Monty Python, "and now for something completely different!"
An elderly man with dementia, acquitted of a terrible murder and suspected in many others, is removed from assisted-living by a woman he doesnt recognize—a woman who claims to be his daughter.
**Unrelated to this piece: data records:**
********
No. 1
Entry from the Materials Project database: crystalline MgCu6OF11 at its relaxed geometry (PBE).

Unit cell a=4.995 b=5.580 c=8.318 alpha=84.01 beta=85.63 gamma=85.14
Fractional positions:
1 Mg 0.000 0.000 0.000
2 Cu 0.011 0.997 0.496
3 Cu 0.026 0.374 0.201
4 Cu 0.495 0.500 0.507
5 Cu 0.515 0.119 0.816
6 Cu 0.517 0.827 0.157
7 Cu 0.941 0.624 0.815
8 O 0.688 0.839 0.933
9 F 0.170 0.675 0.088
10 F 0.184 0.947 0.783
11 F 0.203 0.275 0.423
12 F 0.295 0.162 0.081
13 F 0.299 0.441 0.732
14 F 0.308 0.796 0.401
15 F 0.698 0.538 0.282
16 F 0.714 0.206 0.580
17 F 0.807 0.309 0.910
18 F 0.817 0.723 0.581
19 F 0.824 0.054 0.219

Properties
The energy above the most stable polymorph in this dataset is 0.038 eV per atom. The calculation puts the total energy after the MP2020 corrections at -4.650 eV/atom. The uncorrected energy is -4.346 eV/atom.

No. 2
Entry from the Materials Project database: crystalline MgCu6O2F10 at its relaxed geometry (PBE).

Unit cell a=5.557 b=6.016 c=8.207 alpha=94.86 beta=109.70 gamma=112.00
Fractional positions:
1 Mg 0.000 0.000 0.000
2 Cu 0.012 0.499 0.974
3 Cu 0.038 0.869 0.358
4 Cu 0.366 0.792 0.770
5 Cu 0.555 0.584 0.499
6 Cu 0.593 0.202 0.193
7 Cu 0.987 0.196 0.634
8 O 0.155 0.494 0.799
9 O 0.853 0.872 0.509
10 F 0.242 0.358 0.118
11 F 0.265 0.925 0.205
12 F 0.267 0.296 0.516
13 F 0.312 0.044 0.916
14 F 0.312 0.753 0.509
15 F 0.722 0.369 0.444
16 F 0.738 0.073 0.805
17 F 0.786 0.658 0.856
18 F 0.790 0.963 0.157
19 F 0.851 0.480 0.150

Properties
The energy above the most stable polymorph in this dataset is 0.000 eV per atom. The calculation puts the total energy after the MP2020 corrections at -4.757 eV/atom. The uncorrected energy is -4.441 eV/atom.

No. 3
Entry from the Materials Project database: crystalline MgCu6OF11 at its relaxed geometry (PBE).

Unit cell a=4.808 b=5.642 c=8.550 alpha=88.79 beta=88.35 gamma=84.75
Fractional positions:
1 Mg 0.000 0.000 0.000
2 Cu 0.284 0.769 0.403
3 Cu 0.289 0.468 0.723
4 Cu 0.374 0.257 0.156
5 Cu 0.774 0.961 0.704
6 Cu 0.790 0.567 0.066
7 Cu 0.831 0.283 0.379
8 O 0.967 0.272 0.154
9 F 0.001 0.000 0.480
10 F 0.017 0.716 0.822
11 F 0.042 0.181 0.806
12 F 0.085 0.745 0.149
13 F 0.088 0.514 0.497
14 F 0.478 0.031 0.321
15 F 0.492 0.418 0.963
16 F 0.509 0.744 0.654
17 F 0.563 0.539 0.315
18 F 0.570 0.245 0.620
19 F 0.615 0.902 0.002

Properties
The energy above the most stable polymorph in this dataset is 0.069 eV per atom. The calculation puts the total energy after the MP2020 corrections at -4.619 eV/atom. The uncorrected energy is -4.315 eV/atom.

No. 4
Entry from the Materials Project database: crystalline MgCu2O4F2 at its relaxed geometry (PBE).

Unit cell a=5.438 b=3.237 c=6.440 alpha=90.00 beta=102.06 gamma=90.00
Fractional positions:
1 Mg 0.000 0.000 0.000
2 Cu 0.481 0.500 0.934
3 Cu 0.872 0.000 0.486
4 O 0.222 0.000 0.591
5 O 0.285 0.000 0.814
6 O 0.743 0.500 0.585
7 O 0.796 0.500 0.817
8 F 0.175 0.500 0.138
9 F 0.724 0.000 0.158

Properties
********
She takes him on a road trip across Texas for answers to her own burning questions. Following the paths of vanished women, she attempts to discover the truth. Does he really have dementia? Is he a murderer? What secrets lurk in the dark corners of his mind?